Members of the Coalition Avenir Québec (CAQ) competed in intellectual contortion to explain to us the meaning of the words “discipline” and “distractions”, their watchwords at the start of the 2024 political year. This new slogan obviously includes the need to close ranks and wash dirty laundry as a family. Unfortunately, this way of building an opaque wall between elected officials and the people is the main source of cynicism towards politicians.
So, even if the Prime Minister talks about distractions, his problem stems from a series of disappointments. It is more consistency and transparency that the CAQ really needs. Indeed, since the end of the pandemic, the boss’s decisions have been more difficult to follow. If Claude Legault caricatures him so well in the Bye, it’s not because they have the same last name. I rather think it’s because François is sometimes as good at improvisation as Claude.

Prime Minister François Legault during the CAQ pre-sessional caucus in Sherbrooke, Wednesday
I do not need to go over all the inconsistencies which led to the rupture of the umbilical cord of trust which strongly united him with the French-speaking vote. However, as a humble observer of politics, allow me to give him advice, much more felt than expert, on the undermined issue which can politically hurt the CAQ even more.
I think that Mr. Legault should particularly monitor the buzz of the Fitzgibbon-Sabia duo around the Hydro-Québec monopoly.
<<<
100
Properties=species:S:1:pos:R:3:forces:R:3 method="wB97M-V/def2-TZVPD" spin_multiplicity=1 total_charge=0 smiles=C1CCOC1.C1CCOC1.C1CCOC1.C1CCOC1.C1CCOC1.C1CCOC1.C1CCOC1.CCO lumo_energy_ev=0.44 e_above_lowest_kj_mol=301.39
C -4.880130 11.870547 -11.093429 0.61 -0.59 0.31
C -5.842153 10.675175 -11.086635 -0.70 -0.07 -1.29
C -5.262095 9.721555 -12.203647 -1.20 -1.10 1.94
O -4.423191 10.452869 -12.984223 0.14 1.46 -0.96
C -3.801687 11.426756 -12.139602 -0.65 -0.06 -0.19
H -4.517029 11.957901 -10.069403 0.64 0.14 -0.16
H -5.328799 12.843119 -11.295669 -0.14 -0.24 -0.44
H -6.835623 10.992471 -11.403563 -0.05 0.08 -0.16
H -6.029655 10.230069 -10.109473 0.54 -0.22 -0.02
H -6.060735 9.242683 -12.770176 0.00 0.27 -0.32
H -4.693831 8.894354 -11.778308 0.10 -0.27 0.56
H -3.496639 12.203577 -12.840734 0.36 0.11 0.47
H -2.971701 10.890811 -11.679184 0.36 0.49 0.32
C -10.807744 12.224290 -5.813036 2.05 -1.02 1.06
C -12.110475 12.944800 -6.058576 0.59 -0.01 0.01
C -13.033217 11.825055 -6.532335 0.07 0.91 -0.96
O -12.164853 10.774381 -6.879919 -1.36 -1.06 -1.35
C -11.116070 10.731293 -5.986682 -0.04 -0.08 0.98
H -10.350429 12.467072 -4.853854 -0.17 -0.14 0.25
H -10.022112 12.493027 -6.519192 -0.20 0.07 -0.32
H -11.804522 13.640213 -6.840168 -1.07 0.51 0.17
H -12.456478 13.384629 -5.123195 -0.10 0.45 -0.40
H -13.557314 12.082713 -7.452679 -0.13 0.02 0.07
H -13.792502 11.626867 -5.775820 0.13 -0.66 0.24
H -10.350088 10.036650 -6.331402 0.31 0.57 -0.60
H -11.468433 10.197433 -5.104113 -0.08 0.43 0.84
C -3.868234 10.288419 -6.878312 0.69 -0.97 0.68
C -3.185121 9.763865 -8.119952 -0.98 -1.30 -1.20
C -1.762506 9.458279 -7.686489 -0.33 1.95 0.56
O -1.549200 10.569218 -6.780330 1.51 0.05 0.46
C -2.736174 11.086417 -6.245690 -1.40 0.10 -0.12
H -4.021112 9.394805 -6.273182 -0.55 0.08 0.38
H -4.783977 10.870981 -6.978937 0.04 -0.25 -0.26
H -3.364060 10.478848 -8.923003 0.86 -0.02 -0.25
H -3.607271 8.811896 -8.441886 -0.48 0.02 -0.22
H -0.977004 9.479670 -8.441889 -0.23 0.34 -0.19
H -1.618150 8.511181 -7.166627 -0.48 -0.11 0.14
H -2.941356 12.127451 -6.495184 0.79 0.34 -0.29
H -2.820956 11.045573 -5.159769 0.57 -0.27 0.19
C -7.647050 8.521273 -7.168580 -0.59 -0.82 -0.08
C -7.465168 9.346614 -5.961578 1.31 0.64 1.07
C -8.028693 8.520094 -4.828529 -0.60 0.39 -0.90
O -7.809704 7.132008 -5.147638 0.66 1.01 -0.39
C -7.534925 7.084713 -6.552002 -0.47 0.91 -1.52
H -6.852268 8.713508 -7.889336 -0.19 -0.14 -0.21
H -8.621879 8.715181 -7.616023 -0.03 -0.20 -0.20
H -7.939349 10.327799 -5.984624 0.23 0.11 -0.04
H -6.388783 9.423216 -5.807829 0.12 0.52 0.16
H -9.088506 8.752598 -4.932570 -0.48 -0.41 0.95
H -7.601639 8.860383 -3.885164 -0.21 -0.59 0.22
H -8.283372 6.486515 -7.071703 0.27 -0.55 0.28
H -6.521413 6.806405 -6.840834 0.05 -0.85 0.73
C -9.652544 9.444468 -0.982914 -0.46 -0.48 0.82
C -10.929974 10.169756 -1.445660 0.66 0.33 0.44
C -11.719782 10.157550 -0.157192 -0.27 -0.72 0.03
O -11.513618 8.869728 0.382337 0.64 -1.66 0.40
C -10.137085 8.428604 0.109547 -0.42 1.91 -0.23
>>>
Although we are still presented with this part that we want to leave to the private sector as a small valve to help Hydro, mistrust is required, because Quebec has already starred in similar films.
Two examples. When the private sector began its ill-fated incursion into the health system, it was the same speech we were told. This small breach was presented as a relief or a contribution from the private sector to help relieve congestion in certain sectors of the hospital system. Today, is there anyone who still thinks that the private health sector will not stay, grow, diversify and even dream of providing serious competition to the public network?
The same speech was also used to reassure us about the very marginal nature of the place of private health agencies. What has happened since then? They are now so powerful and essential that packing them down would cause major turbulence.
Between two parts of the piece: records of molecules:
Entry 1:
{"formula": "ILi3", "method": "ωB97M-V/def2-TZVPD", "symbols": ["Li", "Li", "Li", "I"], "positions_angstrom": [[0.1423, -2.0528, 1.0177], [-0.9029, 2.8234, 1.0626], [0.3569, -1.2591, -2.1745], [0.4037, 0.4886, 0.0942]], "charge": 2, "relative_energy_ev": 0.405}

***

Entry 2:
{"formula": "C3H6N2O2", "method": "ωB97M-V/def2-TZVPD", "symbols": ["N", "C", "O", "C", "O", "C", "N", "H", "H", "H", "H", "H", "H"], "positions_angstrom": [[0.2174, -0.9352, -1.8673], [0.0284, -0.3339, -0.7099], [0.2883, -1.0556, 0.3370], [-0.2539, 1.1458, -0.5329], [0.7235, 1.4846, 0.3095], [0.2485, -0.3681, 1.5965], [-0.8545, -0.3823, 2.1914], [0.5919, -1.8736, -1.9126], [0.0473, -0.4323, -2.7249], [-1.3090, 1.2553, -0.1787], [-0.2276, 1.6025, -1.5542], [1.2526, -0.1324, 1.9274], [-0.7529, 0.0251, 3.1186]], "relative_energy_ev": 3.870}

***

Entry 3:
{"formula": "C4H3N3O2", "method": "ωB97M-V/def2-TZVPD", "symbols": ["H", "N", "C", "N", "N", "C", "C", "O", "C", "O", "H", "H"], "positions_angstrom": [[-1.1343, -2.1615, -1.1814], [-1.4845, -1.5097, -0.3547], [-0.9725, -0.3922, -0.5158], [-0.1610, 0.2235, -1.5592], [1.0082, 0.6236, -1.2828], [1.5954, 0.2825, -0.0758], [1.0353, 0.3616, 1.1520], [-0.2628, 1.0471, 1.1915], [-1.1908, 0.7641, 0.3134], [-2.3291, 1.2648, 0.2671], [2.5353, -0.4300, -0.1233], [1.3609, -0.0738, 2.1690]], "smiles": "[H]/N=c1\\nnccoc1=O", "relative_energy_ev": 3.467}

***

Entry 4:
{"formula": "C5H8N", "method": "ωB97M-V/def2-TZVPD", "symbols": ["C", "C", "C", "C", "C", "N", "H", "H", "H", "H", "H", "H", "H", "H"], "positions_angstrom": [[-1.1770, 1.2239, 0.8780], [-1.6345, 0.4289, -0.1048], [-0.4024, 0.2230, -0.9430], [0.0002, -1.1161, -1.2835], [0.9864, 0.1274, 1.1707], [0.0418, 0.7960, 0.3905], [-1.4326, 2.0134, 1.6733], [-0.3100, 0.8729, -1.8005], [0.3719, -1.6370, -0.3433], [0.7596, -1.0155, -1.9309], [-0.7388, -1.7376, -1.7623], [1.7211, -0.0714, 0.4888], [1.2039, 0.6965, 2.0583], [0.6104, -0.8043, 1.5086]], "multiplicity": 3, "charge": 1, "relative_energy_ev": 3.892}

***

Entry 5:
{"formula": "C3H9NO2", "method": "ωB97M-V/def2-TZVPD", "symbols": ["C", "C", "N", "O", "H", "H", "H", "H", "H", "C", "O", "H", "H", "H", "H"], "positions_angstrom": [[1.0739, 1.5347, -0.0723], [-0.3955, 1.2108, -0.1477], [-0.9350, 1.0895, -1.3877], [-1.0279, 0.8946, 0.8458], [1.4860, 0.8487, 0.6704], [1.3053, 2.5768, 0.1306], [1.5845, 1.3790, -1.0308], [-1.8711, 0.7321, -1.4335], [-0.4550, 1.3102, -2.2398], [1.0078, -2.4264, 0.7592], [-0.0510, -1.7957, 0.0337], [1.6656, -2.8392, 0.0061], [1.5311, -1.6513, 1.3363], [0.6448, -3.1961, 1.4314], [-0.7278, -1.5459, 0.6731]], "smiles": "CC(N)=O.CO", "relative_energy_ev": 0.871}

***

Entry 6:
So, even if we go above and beyond in intellectual gymnastics to explain to ourselves that this will have no effect on its monopoly, this is what ultimately risks happening to Hydro-Québec. Time always ends up revealing the devil, however well hidden he may be in the details. Energy is the lucrative sinews of war in these times of decarbonization of economies. However, to think that you can give a finger to the big private company without it working to grab your arm is a utopia.
Neoliberalism is a predatory activity whose desire to grow remains the sacred and fundamental law. Why would large companies work in the shadows to open a breach for themselves when they do not dream of one day collecting more than the crumbs that we are told we want to reserve for them? If industrial companies begin to own wind farms on public land and produce, transport and sell their electricity to others or to Hydro-Québec, will they later be prevented from practicing the principle of the food chain? who is at the center of the capitalist economy?
In this doctrine, each eats the smallest who precedes him and becomes food for the largest who follows him. In the end, the big predator(s) will remain.
In other words, if a company buys the other small private electricity producers and becomes bigger, what will happen? What will happen when this company has the strength of its ambitions ahead of Hydro?
However hypothetical, this possibility is a very important parameter in the equation and trivializing the fears of the population by talking about a fear campaign on such a sensitive subject is not an argument.
As former politician Thomas Mulcair recently pointed out, the Mike Harris government used the same communication strategies to undertake the dismantling of Ontario Hydro and precipitate the liberalization of the province’s energy sector which will be completed by Kathleen Wynne. However, today, electricity costs more in Ontario than in Quebec.
Quantum chemistry results that have nothing to do with the text
********
[1]
This record from the OMol25 dataset describes a structure of composition C14H12B2Cl5F4N4O5Os. The level of theory is wB97M-V/def2-TZVPD.

Last column: Löwdin spin population.
CARTESIAN COORDINATES (ANGSTROEM)
Os  0.059  -1.128  -0.104  2.43
C  -0.445  -5.179  -1.504  0.01
C  -0.289  -3.722  -1.321  0.09
N  0.011  -3.152  -0.200  0.02
O  0.230  -3.861  0.896  -0.01
B  1.138  -3.107  1.830  0.01
F  1.761  -3.918  2.655  0.00
F  1.958  -2.263  0.985  0.09
O  0.322  -2.087  2.647  -0.01
N  0.063  -0.977  1.996  -0.01
C  -0.261  0.045  2.737  0.02
C  -0.422  -0.090  4.212  0.00
C  -0.212  1.363  2.095  0.00
N  -0.526  1.532  0.841  0.04
O  -0.004  2.410  -1.316  0.04
B  -1.147  0.255  -3.302  0.00
F  -1.016  1.208  -4.174  0.00
F  -2.239  0.052  -2.597  0.00
O  -0.036  -0.565  -3.099  0.00
N  -0.152  -1.512  -2.104  0.02
C  -0.368  -2.743  -2.457  0.06
C  -0.603  -3.207  -3.836  0.01
C  0.339  2.488  2.898  0.00
H  -0.405  -5.693  -0.548  0.00
H  0.357  -5.558  -2.145  0.01
H  -1.393  -5.399  -2.001  0.01
H  -0.822  -1.076  4.439  0.00
H  -1.095  0.668  4.606  0.00
H  0.544  -0.012  4.720  0.00
H  -0.444  -2.425  -4.570  0.00
H  -1.630  -3.582  -3.909  0.00
H  0.050  -4.055  -4.056  0.00
H  -0.123  2.500  3.885  0.00
H  0.210  3.467  2.447  0.00
H  1.407  2.298  3.054  0.00
Cl  1.663  6.673  -1.167  0.05
C  1.009  5.202  -0.706  0.06
C  1.778  4.036  -0.864  0.25
Cl  3.343  4.083  -1.393  0.18
C  1.156  2.710  -0.582  0.03
Cl  2.201  1.351  -0.276  0.04
C  -0.192  2.711  0.040  0.03
O  -1.012  0.534  0.080  0.15
C  -0.893  3.993  0.292  0.23
Cl  -2.400  3.933  1.002  0.13
C  -0.310  5.178  -0.143  0.01
Cl  -1.160  6.621  0.016  0.01

The total energy is -3975.6865 hartree. The spin multiplicity is 5. Its net charge is +3. For the HOMO-LUMO gap (spin up / spin down), the calculation gives 7.955 / 5.891 eV. The energy relative to the best compared isomer or geometry (same formula, charge and spin) comes out at 0.00 kcal per mole. The calculation puts the LUMO energy (spin up / spin down) at -10.96 / -13.17 eV. As for the max |F|: 0.009 Eh/bohr.

[2]
This record from the OMol25 dataset describes a cluster of 4 separate species, C4H14NO3 in total at a distorted geometry. The level of theory is wB97M-V/def2-TZVPD.

Last column: Löwdin spin population.
CARTESIAN COORDINATES (ANGSTROEM)
C  -0.519  1.024  2.224  0.09
C  -0.666  -0.059  1.291  0.25
C  -0.022  -0.043  0.079  0.37
N  -0.334  -1.157  -0.770  0.05
C  0.383  -1.587  -1.850  0.15
H  0.065  0.632  3.063  0.05
H  -0.022  1.928  1.821  0.00
H  -1.501  1.321  2.802  0.03
H  -1.388  -0.813  1.562  0.00
H  0.644  0.741  -0.362  0.01
H  -1.025  -1.766  -0.272  0.00
H  0.173  -2.455  -2.418  0.01
H  1.111  -0.703  -2.139  0.00
H  -1.660  -3.976  0.641  0.00
H  -2.910  -3.001  1.066  0.00
O  -1.956  -3.107  0.670  0.00
H  3.170  0.564  -1.437  0.00
H  3.049  1.148  -2.861  0.00
O  2.830  0.374  -2.328  0.00
H  0.365  3.963  -0.953  0.00
H  -0.311  3.559  0.240  0.00
O  0.525  3.413  -0.068  0.00
********
At home, eager to fulfill the Prime Minister’s desire to create more lucrative jobs and reduce the wage gap with Ontario which has become his obsession, we have taken steps to open up the possibility to those seeking discounted electricity. to come and settle in Quebec. This has generated a huge increase in connection requests from industrial groups who want to take advantage of this energy windfall.
Faced with the impossibility of responding to this request, instead of calling into question the minister’s overly greedy seduction campaign, they are trying to sell us the limits of efficiency of the Hydro-Québec monopoly as being problematic. An indirect way of saying that we would be better served by a certain openness to the free market. Find the mystification.
Let’s be clear, I don’t like ultra-liberalism, but I have absolutely nothing against fair private enterprise. I am a mini-entrepreneur myself. All I’m trying to say is that we gain nothing from exposing Hydro to possible risks of predation or balkanization by relying solely on the politician’s word.
In any case, François Legault and his government have never asked for or received the mandate to open this door that the vast majority of the population would like to keep locked. If the Prime Minister decides to move in this direction, he will face a powerful headwind for the remainder of his mandate.
That said, I am one of those who think that the fall of the CAQ is reversible and François has time to regain his place in the hearts of Quebecers. To do this, he simply needs to remember at every moment the reasons why the coalition he leads was founded. A major ministerial reshuffle would also be much more relevant as a marker of renewal than all these words which are just words.